Home - CEO Spotlight - Feb 04 Issue |
CEO Spotlight: Phillip Merrick, webMethods |
By Angel Mehta, Managing Director, Sterling-Hoffman Executive Search
Angel Mehta: The Web services / integration market seems to have been through it’s own boom/bust cycle, so tell me a little bit about the state of the market today and how webMethods is positioned.
Phillip Merrick: I think that we’re differentiated in a couple of important ways. First, we simply have a broader product portfolio than our competitors and within that portfolio, things are internally integrated a lot more than with say, IBM, who would be our biggest competitor.
This thing that we call “integration” has evolved in a couple of important directions. The base infrastructure is conforming to standards; in particular, the Web services standards. Increasingly customers want to look at integration not on its own but as part of an approach to putting service-oriented architectures across their enterprise. We’ve made moves in the last six months to offer capabilities not just for doing business process integration with Web services, but also allowing customers to manage that service-oriented architecture across the whole enterprise and beyond. We’re doing that principally with a product we call, “webMethods Fabric”, so that’s what’s happening on the infrastructure side.
On the other end of the scale, you’ve got much more of an emphasis these days on delivering real business value out of IT projects.
Angel Mehta: That’s certainly not restricted to the integration market, though…
Phillip Merrick: Of course not, but the point is, we’re seeing it in spades. So at the other end of the scale, we find ourselves doing a lot more for customers in the area of business process… business process management and business activity monitoring. We’re seeing a lot of interest in it, particularly from large manufacturing and financial services customers.
Angel Mehta: Would not the business intelligence vendors be all over the opportunity for business activity monitoring? How is webMethods attacking the problem differently?
Phillip Merrick: Well first of all, we have a view of the business process right across the enterprise and it’s a real-time view. So as opposed to the approach of putting everything into a data warehouse and getting it done once a day or once a week or worse, we’re actually able to look at the key information, particularly key performance indicators, on a real-time basis. We can bring artificial intelligence technology to do things like event management… so we can actually instrument business processes across the enterprise, capture events out of that instrumentation, and then use things like neural network engines to analyze what obviously becomes a big series of events. The analysts effectively set some key metrics, decide what the right ranges are for those metrics, and then we use the event management engine to figure out whether these key indicators are staying within the specified range. If not, we set off alerts and take appropriate actions.
The point is, you have to look at business activity monitoring as not just being a static report on some snapshot state of the business - but as an active, living report about what’s happening in the business. If that’s the approach you take to business activity monitoring, then business process integration is actually a pretty good place to get started.
Customers and analysts both have confirmed this. In the end, business integration players will be the biggest beneficiaries of the adoption of business activity monitoring by large enterprises. So I think we’re in the right place at the right time.
Angel Mehta: During the bubble I think it was thought that B2B trading exchanges, the B2B market places, would drive that need for integration outside the firewall. How much of your business still comes as a result of those exchanges today? Or has the focus been completely removed from that area?
┌──
# NdSm4Ag
Theoretical X-ray diffraction stick pattern, copper Kα. Input: a crystal structure in Alexandria, relaxed with PBE.
No peak broadening, texture or thermal motion is included.

Crystal structure
```
data_NdSm4Ag
_space_group_name_H-M_alt 'C m c 21'
_space_group_IT_number 36
_space_group_name_Hall 'C 2c -2'
_cell_length_a 5.5771
_cell_length_b 21.1281
_cell_length_c 6.5596
_cell_angle_alpha 90.00
_cell_angle_beta 90.00
_cell_angle_gamma 90.00
loop_
_atom_site_label
_atom_site_type_symbol
_atom_site_fract_x
_atom_site_fract_y
_atom_site_fract_z
_atom_site_occupancy
Nd1 Nd 0.0000 0.1330 0.0000 1
Sm1 Sm 0.0000 0.0650 0.5011 1
Sm2 Sm 0.0000 0.2537 0.6153 1
Sm3 Sm 0.0000 0.3227 0.1398 1
Sm4 Sm 0.0000 0.4659 0.3346 1
Ag1 Ag 0.0000 0.3951 0.7430 1
```

Main lines, in order of rising 2θ (2θ = 10–80°):
- 2θ 28.50, I = 28, hkl 0 2 2
- 2θ 28.77, I = 20, hkl 0 6 1
- 2θ 29.82, I = 100, hkl 1 5 1
- 2θ 31.94, I = 56, hkl 1 1 2
- 2θ 32.10, I = 62, hkl 2 0 0
- 2θ 34.18, I = 21, hkl 1 3 2
- 2θ 36.52, I = 48, hkl 1 7 1
- 2θ 60.15, I = 27, hkl 1 9 3

***

# Nd3Sm2Ag2
Theoretical X-ray diffraction stick pattern, copper Kα. Input: a crystal structure in Alexandria, relaxed with PBE.
No peak broadening, texture or thermal motion is included.

Crystal structure
```
data_Nd3Sm2Ag2
_space_group_name_H-M_alt 'C m m m'
_space_group_IT_number 65
_space_group_name_Hall '-C 2 2'
_cell_length_a 3.6832
_cell_length_b 31.7329
_cell_length_c 3.6589
_cell_angle_alpha 90.00
_cell_angle_beta 90.00
_cell_angle_gamma 90.00
loop_
_atom_site_label
_atom_site_type_symbol
_atom_site_fract_x
_atom_site_fract_y
_atom_site_fract_z
_atom_site_occupancy
Nd1 Nd 0.0000 0.0000 0.0000 1
Nd2 Nd 0.0000 0.1223 0.0000 1
Sm1 Sm 0.0000 0.2972 0.5000 1
Ag1 Ag 0.0000 0.4390 0.5000 1
```

Main lines, in order of rising 2θ (2θ = 10–80°):
- 2θ 31.29, I = 97, hkl 1 7 0
- 2θ 33.31, I = 100, hkl 0 8 1
- 2θ 34.67, I = 100, hkl 1 1 1
- 2θ 35.24, I = 24, hkl 1 9 0
- 2θ 49.49, I = 20, hkl 2 0 0
- 2θ 56.08, I = 35, hkl 1 15 1
- 2θ 60.04, I = 29, hkl 1 7 2
- 2θ 60.97, I = 36, hkl 2 8 1

***

# NdSmAg
Theoretical X-ray diffraction stick pattern, copper Kα. Input: a crystal structure in Alexandria, relaxed with PBE.
No peak broadening, texture or thermal motion is included.

Crystal structure
```
data_NdSmAg
_space_group_name_H-M_alt 'P n m a'
_space_group_IT_number 62
_space_group_name_Hall '-P 2ac 2n'
_cell_length_a 7.4057
_cell_length_b 3.7139
_cell_length_c 12.7506
_cell_angle_alpha 90.00
_cell_angle_beta 90.00
_cell_angle_gamma 90.00
loop_
_atom_site_label
_atom_site_type_symbol
_atom_site_fract_x
_atom_site_fract_y
_atom_site_fract_z
_atom_site_occupancy
Nd1 Nd 0.1278 0.2500 0.0986 1
Sm1 Sm 0.1223 0.2500 0.3947 1
Ag1 Ag 0.1249 0.2500 0.7543 1
```

Main lines, in order of rising 2θ (2θ = 10–80°):
- 2θ 32.03, I = 100, hkl 2 0 3
- 2θ 34.19, I = 46, hkl 2 1 0
- 2θ 42.54, I = 8, hkl 0 0 6
- 2θ 49.06, I = 8, hkl 0 2 0
- 2θ 49.21, I = 8, hkl 4 0 0
- 2θ 55.67, I = 15, hkl 2 1 6
- 2θ 59.81, I = 16, hkl 2 2 3
└──
Phillip Merrick: We certainly did business with quite a number of those industry-backed exchanges, though typically not the smaller dotcom ones that have since fallen away. But the exchanges that were setup by the Global 2000 companies are actually moving along; they’re running into the billions in terms of the transaction value running through them. B2B is a very broad topic, of course. I will tell you that the interest in business-to-business integration is definitely back these days. The interesting thing is that the greater bulk of that interest is in applying older technologies, in particular EDI, to the Internet infrastructure and that’s where things like EDI INT and AS2 are becoming really significant, particularly with mandates from major companies like Wal-Mart and so on that their suppliers get off the bands and move EDI transactions onto the Internet using EDI INT and AS2 standards.
Angel Mehta: Last year, webMethods did a number of acquisitions. Tell me about some of the challenges involving your approach and why you chose to make the acquisitions you did.
Phillip Merrick: I think the Number 1 thing we think about is what more can we do for our customers? How can we help them more effectively solve their business integration and infrastructure challenges? So in one of those acquisitions you referred to, we acquired a leading edge portal technology. Not so much because we saw the pressing urge to move into the portal market but because our customers were telling us that was something that was incredibly interesting to them. In general I’ll tell you that we’re very careful about what parts of the market we move into. We’re in the integration business and the last thing you want is for the customer to look at your offering and say, “Wait a minute, your own product offering isn’t that integrated!”
(Attached: data records)
=====
Structure and calculated powder XRD pattern of Na6NiO4 (a DFT-relaxed cell (GGA+U, Alexandria); λ = 1.5418 Å (Cu Kα)).
No peak broadening, texture or thermal motion is included.

a b c (Å): 7.6473 7.6473 5.8898
angles (deg): 90.01 90.01 119.96
Fractional positions:
Na  0.0344  0.5682  0.5014
Na  0.0382  0.9618  0.5000
Na  0.2170  0.3590  0.3283
Na  0.3573  0.6426  0.8297
Na  0.3590  0.2170  0.8283
Na  0.4238  0.9615  0.4962
Na  0.5682  0.0344  0.0014
Na  0.6402  0.7816  0.3299
Na  0.6426  0.3573  0.3297
Na  0.7816  0.6402  0.8299
Na  0.9618  0.0382  0.0000
Na  0.9615  0.4238  0.9962
Ni  0.1632  0.8313  0.1073
Ni  0.8313  0.1632  0.6073
O  0.1210  0.3127  0.7158
O  0.1706  0.8352  0.7702
O  0.3127  0.1210  0.2158
O  0.3131  0.6928  0.2167
O  0.6875  0.8737  0.7196
O  0.6928  0.3131  0.7167
O  0.8352  0.1706  0.2702
O  0.8737  0.6875  0.2196

Most intense lines, 5 to 70 degrees two-theta, in order of falling intensity:
2θ (°)  intensity
39.1  100
13.4  64
20.2  58
47.6  58
41.0  43
33.3  33
38.6  27
48.4  22
43.8  19
54.3  18
=====
(End of the data records)
With the acquisitions that we made last year in the October timeframe, we were looking for start-up companies that had already integrated their products with our products at actual customer sites. The business activity monitoring product, which we acquired from the Dante Group, had already been integrated with the webMethods Integration Platform at several key accounts, for example.
• These crystal structures were left in the page by mistake:
<<<
The following is a theoretical XRD peak list of Na2PuCrO6. It was derived from a GGA+U-relaxed structure, using λ = 1.5418 Å (Cu Kα).
Kinematic intensities with the Lorentz-polarization factor, no thermal factor.

Atomic structure:
```
data_Na2PuCrO6
_space_group_name_H-M_alt 'P 4/m m m'
_space_group_IT_number 123
_space_group_name_Hall '-P 4 2'
_cell_length_a 5.6274
_cell_length_b 5.6274
_cell_length_c 4.1004
_cell_angle_alpha 90.00
_cell_angle_beta 90.00
_cell_angle_gamma 90.00
loop_
_atom_site_label
_atom_site_type_symbol
_atom_site_fract_x
_atom_site_fract_y
_atom_site_fract_z
_atom_site_occupancy
Na1 Na 0.0000 0.5000 0.0000 1
Pu1 Pu 0.0000 0.0000 0.5000 1
Cr1 Cr 0.5000 0.5000 0.5000 1
O1 O 0.0000 0.0000 0.0000 1
O2 O 0.2491 0.2491 0.5000 1
O3 O 0.5000 0.5000 0.0000 1
```

Largest 8 diffraction maxima, by angle, 10° ≤ 2θ ≤ 80°:
- (1 0 0), 2θ = 15.75°, intensity 86
- (0 0 1), 2θ = 21.67°, intensity 51
- (1 1 0), 2θ = 22.34°, intensity 95
- (1 0 1), 2θ = 26.90°, intensity 51
- (1 1 1), 2θ = 31.32°, intensity 100
- (2 0 0), 2θ = 31.80°, intensity 48
- (2 2 0), 2θ = 45.60°, intensity 35
- (3 1 1), 2θ = 56.36°, intensity 39

* * * * *

Zn2Cu9O13: theoretical powder X-ray diffraction pattern (Cu Kα (weighted mean of Kα1 and Kα2)), based on a structure optimized by DFT (PBE).
Peak positions follow from Bragg's law for the DFT cell and can differ from measured ones.

Structural model:
a = 5.1434 Å, b = 5.1434 Å, c = 16.3295 Å
α = 97.94°, β = 97.94°, γ = 33.15°
Fractional positions:
Zn  0.2204  0.2204  0.2257
Zn  0.7796  0.7796  0.7743
Cu  0.0026  0.0026  0.6688
Cu  0.0614  0.0614  0.8775
Cu  0.2466  0.2466  0.5822
Cu  0.3510  0.3510  0.9588
Cu  0.5000  0.5000  0.5000
Cu  0.6490  0.6490  0.0412
Cu  0.7534  0.7534  0.4178
Cu  0.9386  0.9386  0.1225
Cu  0.9974  0.9974  0.3312
O  0.0000  0.0000  0.0000
O  0.1356  0.1356  0.4719
O  0.1380  0.1380  0.7739
O  0.3045  0.3045  0.0701
O  0.3669  0.3669  0.6847
O  0.3991  0.3991  0.3873
O  0.4129  0.4129  0.8542
O  0.5871  0.5871  0.1458
O  0.6009  0.6009  0.6127
O  0.6331  0.6331  0.3153
O  0.6955  0.6955  0.9299
O  0.8620  0.8620  0.2261
O  0.8644  0.8644  0.5281

Top 8 peaks for 10 to 90 degrees two-theta, by angle:
2θ (°)  I/Imax
35.4  1000
35.7  722
36.5  415
36.7  399
42.4  415
43.3  650
44.1  398
63.4  459

CsCo2HgCl8: theoretical powder X-ray diffraction pattern (Cu Kα (weighted mean of Kα1 and Kα2)), based on a structure optimized by DFT (PBE).
Peak positions follow from Bragg's law for the DFT cell and can differ from measured ones.

Structural model:
a = 10.4757 Å, b = 10.4757 Å, c = 10.4757 Å
α = 36.25°, β = 36.25°, γ = 36.25°
Fractional positions:
Cs  0.0000  0.0000  0.0000
Co  0.2446  0.2446  0.2446
Co  0.7554  0.7554  0.7554
Hg  0.5000  0.5000  0.5000
Cl  0.1014  0.4526  0.7812
Cl  0.2188  0.8986  0.5474
Cl  0.3190  0.3190  0.3190
Cl  0.4526  0.7812  0.1014
Cl  0.5474  0.2188  0.8986
Cl  0.6810  0.6810  0.6810
Cl  0.7812  0.1014  0.4526
Cl  0.8986  0.5474  0.2188
>>>
• Here the page continues:
Angel Mehta: What about the operational challenges of the integration of the new company. Is there any advice you’d have for software CEO’s that are planning to broaden their product suite via acquiring external technology?
Phillip Merrick: The majority of all M&A transactions end up failing, as I’m sure you know, and my view on that is they don’t have to. Advice? Just the basics. Do the homework up front. Understand exactly what you plan to do with the acquisition and make sure that you can map details of all the things that are going to have to happen for the acquisition to be successful. If you’re acquiring for customers, for example, make sure that the customer relationships are as solid as people are making them out to be. If you’re acquiring for technology then obviously do heavy due diligence on architecture. These things sound like very straightforward things, I know, but it’s amazing how many times these things just never get done before M&A transactions are executed.
The second thing is to have a plan for integration and execute on it. I’ve talked to a number of folks on this topic and one of the common themes you hear is that in many cases, the acquiring company had a plan for integration but just never properly executed. And ultimately, corporate integrations are decided by the people involved. It’s very much a people matter - so you’ve really got to pay strict attention to what is happening on the ground day-to-day with the folks on both sides of the transaction. You need to quickly get to the point where everyone feels like they’re all part of one team… otherwise, you’re just setting yourself up for ‘us vs. them’ problems down the road and that’s ultimately what destroys the value.
Angel Mehta: You mentioned that many M&A integration plans don’t get executed on. Can you elaborate on WHY you think that is?
Phillip Merrick: Sometimes management has a tendency towards moving on to the next big thing. Particularly if the company is doing a lot of acquisitions, then there is this tendency to just focus on the deal. It’s the little things that always fall through the cracks… like making sure that everybody is outfitted with business cards that have the right logos on them. Things like that. I mean, that’s a pretty trivial example; but there are so many small items that make it obvious to the outside world that the company was never integrated. So in those cases, it’s that not enough attention is paid to the process. On the other hand, you can be totally over-bearing about the integration process and end up creating exactly the result you wanted to avoid – an ‘us vs. them’ mentality.
Angel Mehta: You mentioned IBM as your biggest competitor, though BEA has gone aggressively after the integration market as well. How do you view them?
Phillip Merrick: BEA is a fine company and they have a fine application server offering. We’re also told that their portal offering is quite reasonable. However, they have struggled mightily to bring a competitive product to market in the integration area. It’s relatively unusual for customers to consider the BEA product for heavy-duty integration. When they do make it on to the shortlist, they’re almost always eliminated if they’re up against a product like ours.
